Integration of Veterans and Ex-combatants into the Labour Market
Economic reintegration is one element of a long term overall reintegration process. It includes paid employment and entrepreneurship but also analysis and understanding of the context in which economic reintegration occurs (such as the impact of conflict on quality of jobs, public investments, increased mortality and disability rates, depressed overall skills levels in the workforce) and the application of that analysis to addressing economic reintegration of veterans, IDPs and returnees. Montbretia consultants have supported labour market reintegration of veterans and ex-combatants across conflict zones in Africa, MENA and Europe. Today, the company continues to provide advisory services and guidance in some of the world's most fragile and conflict affected countries.
Jordan Multi-Donor Trust Fund mid-term review
Announced at the London Conference on February 28, 2019, the Jordan Growth MDTF (USD 63 million) held its first Steering Committee meeting in June 2019 and since then has approved 27 grants in support of the Government of Jordan’s implementation of the Reform Agenda. The MDTF is co-chaired by the World Bank Group and the GoJ through the Ministry of Planning and International Cooperation (MOPIC). Beginning in October 2022 and with a final close-out in May 2023 Montbretia consultants conducted the Mid-Term Review of the MDTF. Final report is forthcoming via the World Bank Group.
Stabilisation, Poverty and Governance Reforms: Cameroon and CAR
Montbretia continues engagement in stabilisation in Africa by providing Technical Assistance in project preparation and design for two significant interventions in Cameroon (nationally and with a focus on the NWSW regions) and in CAR. Both projects aim to contribute to stabilisation, address poverty and assist the implementation of governance reforms.
Iraq Reform, Recovery and Reconstruction Fund (I3RF) MTR
Following engagement in Iraq on the Security-Development Nexus and previous through providing support to the Reconstruction Fund for Areas Affected by Terroristic Operations (REFATTO) Montbretia has been contracted to carry out the MTR of the I3RF, an MDTF contributed to by the UK, Germany, Canada and Sweden which supports the Government of Iraq implement its broad reform programme.
Korea-World Bank Partnership Facility Forward-looking Assessment
Building on our engagement with the World Bank in South East Asia (SEA) Dr. Anthony Finn has been commissioned to conduct a forward-looking assessment of the Korea World Bank Partnership Facility (KWPF). The assignment will examine the results of the facility and identify how the KWPF can best align with the World Bank's Trust Fund Umbrella 2.0 Principles while maintaining it's status as stand-alone Trust Fund. For more on the KWPF go here.
Sudan Sustainable Livelihoods Project
Montbretia has been hired to construct the M&E frameworks for the World Bank's new Sudan Sustainable Livelihoods Project. It is planned that the project will strengthen the new social contract by supporting a shift to a “people-centric” approach to development that delivers tangible and sustainable benefits to vulnerable communities and groups. The M&E Framework will encompass all aspects of the project including rural resilience, livelihoods support, social enterprise and project management and capacity building.
Creating a Typology of Armed Groups to Guide DDR
At Montbretia we are delighted that Dr. Anthony Finn has been selected as Armed Groups expert to work with our colleagues in UN DPO and FBA to conduct a viability study on armed groups typology tools for Integrated Disarmament, Demobilisation and Reintegration processes. Drawing on 20 years work in DDR and Conflict Transformation Anthony will assess the evidence base on how fragmentation of armed groups can be addressed by identifying and adapting programmatic (DDR-related) interventions towards various types of armed groups present in a conflict environment.
Facilitating Effectiveness in ODA Co-Financing
Montbretia has been selected to assist the operationalistion of co-financing partnership between the World Bank and the Government of South Korea. South Korea is the 15th largest donor country and has long standing cooperation with the World Bank Group including in co-fianancing. Montbretia will facilitate the cooperation between partners to maximise the efficiency and effectiveness of Korea-WBG co-financing. Co-financing is a well-established way of working for development. Donors, multilateral institutions, and development agencies come together to assist developing countries with a variety of projects to improve people’s lives. When partners jointly finance a program or project, they each bring the best they can offer to the deal. Done well, cofinancing leverages the resources—funding, knowledge, and expertise—of all partners, to the greater benefit of the poor.
Revision of IDDRS: Monitoring and Evaluating DDR
Montbretia has been commissioned to review and update Module 3.50 on Monitoring and Evaluating Integrated DDR in mission and non-mission settings. Montbretia consultants bring 16 years of DDR M&E including financing, project, programme and impact assessments to the revision of this critical module in the DDR standards. Once again we are working with colleagues at Bonn International Centre for Conversion, the Inter-Agency Working Group on DDR, UNDPO and UNDP to revise this module of the Integrated Disarmament, Demobilisation and Reintegration Standards.
Iraq: Youth, the Labour Market and the Security Development Nexus
Montbretia has been hired to work on the Security Development Nexus in Iraq with a large team of cross-disciplinary experts. Currently we are exploring youth demographics and aspirations, supply and demand side labour market dynamics and the potential for evidence based interventions that contribute to violence reduction and peace building while also returning economic benefits, particularly to youth at risk. This complex and phased project is both challenging and filled with potential for developing evidence-based interventions in the Security Development Nexus in Iraq.
Revision of IDDRS Level 3
Montbretia has been contracted via Bonn International Centre for Conversion to work with the Inter-Agency Working Group on DDR to revise Module 3.0 of the Integrated Disarmament, Demobilisation and Reintegration Standards. Module 3.0 focuses on the National Institutions of DDR as well as Mission and Programme Support, Personnel and Staffing, Funding and Financial Management. The revision of the IDDRS is critical in the new environments in which DDR and associated programming including Security Sector Reform (SSR) are implemented.
We are delighted to be working with old and new colleagues from across the UN family and in BICC. Project timeline is Q3 and Q4 2020.
Community Engagement, Municipal Services and Built Environment in Jeddah
Montbretia has been hired to advise on developing a holistic approach to Community Engagement for Jeddah, Saudi Arabia. Jeddah's importance ranges from being the principal gateway to Mecca to being an thriving economic hub. Integral to its current and future importance to the region and the world are the diverse communities living in Jeddah. These communities can enable the city to meet the challenges it faces and to capitalise on the opportunities presented by growth and inclusion. Integral to managing growth is the engagement of communities to meaningfully participate in setting and realising a vision for Jeddah that includes elevating it to become one of the most liveable cities worldwide.
Jya Mbere Rwanda: Socio-Economic Inclusion of Refugees and Host Communities Project
Montbretia has been hired to assist the Government of Rwanda (MINEMA) establish project and impact M&E structures for the US$35 million Jya Mbere project that aims to improve basic services and provide access to economic opportunities for host and refugee populations in Rwanda as well as to support environmental management.
Rwanda hosts 149,602 refugees mainly from the Democratic Republic of Congo (DRC) and Burundi. The majority of refugees live in six camps spread across the country with over 70 percent being women and children. Rwanda is a signatory of the Comprehensive Refugee Response Framework and through the Jya Mbere project is implementing commitments made under the Strategic Plan for Refugee Inclusion.
The assignment will be carried out by Dr. Anthony Finn who will work with MINEMA and the World Bank to devise all M&E frameworks including baseline and social cohesion measurement.
China-World Bank Partnership Facility
Montbretia has been commissioned to conduct the mid-term review of the China-World Bank Partnership Facility. Established in 2015 the US$50 million trust fund has financed a number of projects, operations and cooperation that have aimed to help reduce poverty. When it was created the trust fund was heralded as a reinforcement of the World Bank's partnership with China, which is the Bank’s third-largest shareholder and an important contributor to the Bank’s International Development Assistance (IDA) and Global Infrastructure Facility.
The mid-term review will be conducted during the first half of 2020 and among other things will assess how the trust fund has enhanced cooperation between China and the World Bank Group, and how it has leveraged financial and knowledge-based resources to help developing countries achieve inclusive and sustainable development.
Save the Children - Global Adolescence Strategic Framework
Montbretia is delighted to be working with Save the Children to review the effectiveness of the organisation's work with and for Adolescents, derive good practice and develop a Global Holistic Adolescent Development Strategic Framework. This project will run throughout 2020 and will be carried out by a team from Montbretia in close thought partnership with a team from Save the Children.
Image Credit: UNHCR Ireland
Community Sponsorship Ireland - Standard Operating Procedures
Following the successful completion of the evaluation of CSI, Montbretia has been commissioned to develop the Standard Operating Procedures for the project. CSI is a uniquely Irish approach to the sponsorship of resettled refugees by private citizens and CSOs/NGOs. The Irish model utilises a broad alliance of ordinary citizens and established state and civil society organisations to welcome newly resettled refugees and provide material and integration supports for refugee families.
Image Credit: Amnesty International
Community Sponsorship Ireland - Knoweldge and Learning Capture
Montbretia has been hired by the Irish Department of Justice and Equality (Irish Refugee Protection Programme) to conduct the knowledge and learning capture of the Community Sponsorship Ireland pilot programme. CSI is a uniquely Irish approach to the sponsorship of resettled refugees by private citizens and CSOs/NGOs. The Irish model utilises a broad alliance of ordinary citizens and established state and civil society organisations to welcome newly resettled refugees and provide material and integration supports for refugee families.
Economic Reconstruction in Donetsk and Luhansk
Montbretia is assessing the parameters for Post-Conflict Reconstruction in Donetsk and Luhansk in eastern Ukraine. The output of the project is a discussion document considering international best practices and first principles of economic post-conflict reconstruction that may have applicability in the non-government controlled areas of Donetsk and Luhansk Oblasts.
**Attached: materials data**
=====
Entry 1:
Density functional theory data (PBE-GGA) for an optimized crystal structure of AcTlS2.

abc: 3.765 3.765 7.655
angles: 90.00 90.00 90.00
Element x y z (fractional)
Ac (0.000, 0.000, 0.000)
Tl (0.000, 0.000, 0.500)
S (0.500, 0.500, 0.217)
S (0.500, 0.500, 0.783)

Results
ΔE_f (raw)	-1.296	eV/atom
VASP energy	-4.9783	eV/atom
M_tot	0.00	μB per cell
space-group type	No. 123

Entry 2:
Density functional theory data (PBE-GGA) for an optimized crystal structure of Ac3TlS.

abc: 10.031 4.265 16.854
angles: 90.00 90.00 90.00
Element x y z (fractional)
Ac (0.015, 0.250, 0.109)
Ac (0.157, 0.750, 0.310)
Ac (0.168, 0.250, 0.533)
Ac (0.332, 0.750, 0.033)
Ac (0.343, 0.250, 0.810)
Ac (0.485, 0.750, 0.609)
Ac (0.515, 0.250, 0.391)
Ac (0.657, 0.750, 0.190)
Ac (0.668, 0.250, 0.967)
Ac (0.832, 0.750, 0.467)
Ac (0.843, 0.250, 0.690)
Ac (0.985, 0.750, 0.891)
Tl (0.136, 0.750, 0.699)
Tl (0.364, 0.250, 0.199)
Tl (0.636, 0.750, 0.801)
Tl (0.864, 0.250, 0.301)
S (0.169, 0.250, 0.954)
S (0.331, 0.750, 0.454)
S (0.669, 0.250, 0.546)
S (0.831, 0.750, 0.046)

Results
ΔE_f (raw)	-0.905	eV/atom
VASP energy	-4.6692	eV/atom
M_tot	0.00	μB per cell
offset from the most stable computed form	0.000	eV per atom
space-group type	No. 62

Entry 3:
Density functional theory data (PBE-GGA) for an optimized crystal structure of Ac3TlS.

abc: 5.755 5.755 5.755
angles: 90.00 90.00 90.00
Element x y z (fractional)
Ac (0.000, 0.000, 0.500)
Ac (0.000, 0.500, 0.000)
Ac (0.500, 0.000, 0.000)
Tl (0.500, 0.500, 0.500)
S (0.000, 0.000, 0.000)

Results
ΔE_f (raw)	-0.759	eV/atom
VASP energy	-4.5228	eV/atom
M_tot	0.00	μB per cell
offset from the most stable computed form	0.146	eV per atom
space-group type	No. 221

Entry 4:
Density functional theory data (PBE-GGA) for an optimized crystal structure of AcTl2S3.

abc: 8.129 8.129 5.779
angles: 90.00 90.00 86.98
Element x y z (fractional)
Ac (0.127, 0.873, 0.750)
Ac (0.873, 0.127, 0.250)
Tl (0.339, 0.339, 0.000)
Tl (0.339, 0.339, 0.500)
Tl (0.661, 0.661, 0.000)
Tl (0.661, 0.661, 0.500)
S (0.043, 0.226, 0.750)
S (0.226, 0.043, 0.250)
S (0.323, 0.677, 0.250)
S (0.677, 0.323, 0.750)
S (0.774, 0.957, 0.750)
S (0.957, 0.774, 0.250)

Results
ΔE_f (raw)	-0.563	eV/atom
VASP energy	-4.0997	eV/atom
M_tot	0.00	μB per cell
space-group type	No. 63

Entry 5:
Density functional theory data (PBE-GGA) for an optimized crystal structure of AcTlS2.

abc: 4.434 4.434 22.303
angles: 90.00 90.00 120.00
Element x y z (fractional)
Ac (0.000, 0.000, 0.000)
Ac (0.333, 0.667, 0.667)
Ac (0.667, 0.333, 0.333)
Tl (0.000, 0.000, 0.500)
Tl (0.333, 0.667, 0.167)
Tl (0.667, 0.333, 0.833)
S (0.000, 0.000, 0.263)
S (0.000, 0.000, 0.737)
S (0.333, 0.667, 0.404)
S (0.333, 0.667, 0.930)
S (0.667, 0.333, 0.070)
S (0.667, 0.333, 0.596)

Results
ΔE_f (raw)	-1.500	eV/atom
VASP energy	-5.1825	eV/atom
M_tot	0.00	μB per cell
space-group type	No. 166

Entry 6:
Density functional theory data (PBE-GGA) for an optimized crystal structure of Ac2TlS.

abc: 4.351 4.351 24.877
=====
New Beginnings for Ex-Combatants in Rwanda
Between 2008 and 2018 the Director of Montbretia Dr. Anthony Finn worked with the World Bank and with the Rwandan Demobilisation and Reintegration Commission on the Emergency Demobilisation and Reintegration Programme and the Second Emergency Demobilisation and Reintegration Programme (SEDRP). In the latter stages of the SEDRP Anthony partnered with Rwandan consultancy firm Kash Consult to carry out successive national surveys on the reintegration of ex-combatants. The World Bank gives an excellent insight into the substantial impact of the project in the lives of ex-combatants, their families and Rwanda itself and discusses the innovations of the project in mental health service provision and deferred social and economic benefits to family and spouses of ex-combatants. Full story here on the World Bank site.